Reaching the Buster Generation

This is a continuation of my previous post on Ministering to the Buster Generation.


The stats are interesting. In 2001, 33% of those ages 18-29 attended church, (compared to 40% of those ages 30-64 and 52% of those ages 65-74). So how does today’s church design a strategy for reaching unchurched Busters? Gary McIntosh (One Church Four Generations) suggests five concepts the church must keep in mind, (the author elaborates but you can brainstorm the possibilities under each point). 

1.   Physically, nothing captivates Busters more than sports and fitness.

2.   Relationally, nothing captivates Busters than friends and family.

3.   Mentally, nothing captivates Busters more than entertainment and music.

4.   Socially, nothing captivates Busters more than improving the environment.

5.   Spiritually, nothing captivates Busters more than a search for serenity.


While one-size-fits-all does not fit the Buster generation, there are some keys to reaching them. Each church must determine if they are Buster-centered, Buster-friendly or Buster-hostile. Consider these ideas in becoming more Buster-centered (like saying, “welcome, we’ve prepared this experience just for you”).

·     Play down titles and use first names.

·     Eliminate churchy words like foyer, vestibule and sanctuary and replace them with platform, lobby and auditorium.

·     Provide excellent child-care facilities.

·     Explain everything you do, so they have some idea of what’s going on.

·     Use a style of music that they would listen to on the radio.

·     Dress casually.

·     Remodel the church to reflect contemporary colors, rather than outdated.

·     Install equipment that Busters expect: computer and multimedia projector.

·     Don’t call attention to guests, but welcome visitors as a group and invite them to sit back and enjoy the service, directing them to a welcome center in the lobby.

Here the page breaks off for calculated crystals:
Record 1
A plane-wave DFT calculation with PBE was carried out for a geometry-optimized Er2Al4SiPt3 structure.

Energy relative to the elements, uncorrected, kJ per mole of atoms: -92
Final energy, eV per cell: -57.20

a = 4.1026 Å, b = 4.1026 Å, c = 10.8193 Å
α = 90.00°, β = 90.00°, γ = 90.00°
Closest atoms and distances in Å follow each position.
Space group P-4m2 (No. 115)
One atom of each set of equivalent atoms:
Er: 0.0000 0.5000 0.2479  8 Al 3.14-3.41, 6 Pt 3.15-3.38, 2 Si 3.38
Al: 0.0000 0.0000 0.5000  4 Pt 2.53
Al: 0.0000 0.5000 0.8633  3 Pt 2.44-2.53, 2 Si 2.53
Al: 0.5000 0.5000 0.5000  4 Pt 2.53
Si: 0.5000 0.5000 0.0000  4 Al 2.53
Pt: 0.0000 0.0000 0.0000  4 Al 2.53
Pt: 0.0000 0.5000 0.6376  5 Al 2.44-2.53

Record 2
A plane-wave DFT calculation with PBE was carried out for a geometry-optimized CsAg6Te2 structure.

Energy relative to the elements, uncorrected, kJ per mole of atoms: -22
Final energy, eV per cell: -26.28

a = 4.6574 Å, b = 4.6574 Å, c = 10.9312 Å
α = 90.00°, β = 90.00°, γ = 90.00°
Closest atoms and distances in Å follow each position.
Space group P4/mmm (No. 123)
One atom of each set of equivalent atoms:
Cs: 0.0000 0.0000 0.0000  8 Te 3.91
Ag: 0.0000 0.0000 0.5000  8 Ag 2.89
Ag: 0.0000 0.5000 0.3438  2 Te 2.86, 4 Ag 2.89
Ag: 0.5000 0.5000 0.5000  8 Ag 2.89
Te: 0.5000 0.5000 0.1925  4 Ag 2.86

Record 3
A plane-wave DFT calculation with PBE was carried out for a geometry-optimized VTeRu structure.

Energy relative to the elements, uncorrected, kJ per mole of atoms: -11
Excess energy over the best structure of this formula in the dataset, eV/atom: 0.095
Final energy, eV per cell: -87.48

a = 6.0768 Å, b = 6.0768 Å, c = 6.0768 Å
α = 90.00°, β = 90.00°, γ = 90.00°
Closest atoms and distances in Å follow each position.
Space group F-43m (No. 216)
One atom of each set of equivalent atoms:
V: 0.0000 0.0000 0.0000  4 Ru 2.63
Te: 0.0000 0.0000 0.5000  4 Ru 2.63
Ru: 0.2500 0.2500 0.7500  4 Te 2.63, 4 V 2.63

Record 4
A plane-wave DFT calculation with PBE was carried out for a geometry-optimized SnSb3C structure.

Energy relative to the elements, uncorrected, kJ per mole of atoms: 83
Excess energy over the best structure of this formula in the dataset, eV/atom: 0.000
Final energy, eV per cell: -21.30

a = 4.8699 Å, b = 4.8699 Å, c = 4.8699 Å
α = 90.00°, β = 90.00°, γ = 90.00°
Closest atoms and distances in Å follow each position.
Space group Pm-3m (No. 221)
One atom of each set of equivalent atoms:
Sn: 0.0000 0.0000 0.0000  12 Sb 3.44
Sb: 0.0000 0.5000 0.5000  2 C 2.43
C: 0.5000 0.5000 0.5000  6 Sb 2.43

Record 5
A plane-wave DFT calculation with PBE was carried out for a geometry-optimized Er12TmAl3 structure.

E_form, eV/f.u.: -2.09
Final energy, eV per cell: -72.55

a = 4.7522 Å, b = 4.7522 Å, c = 19.2946 Å
α = 90.00°, β = 90.00°, γ = 90.00°
Closest atoms and distances in Å follow each position.
Space group P4/mmm (No. 123)
One atom of each set of equivalent atoms:
Er: 0.0000 0.0000 0.0000  8 Er 3.34, 4 Al 3.36


Not only can the church value Busters, but other things can be done to reach this generation:

·     Start a new worship experience designed for them.

·     Make a good first impression.

·     Keep things relaxed.

·     Be positive: help Busters to see the joy in serving Christ.

·     Use a response card rather than asking them to come forward after a service.

·     Start a drama ministry or a video production team.

·     Preach “how-to” messages.

·     Establish new ministries.

·     Teach life skills.

·     Provide parafamily structures: small groups, sports teams, task oriented committees.

·     Be involved in the community.

·     Stress marriage and family.

·     Communicate your vision with practical results of your ministries.

·     Offer time and space since their pilgrimage may last longer than others: they are the first post-Christian generation who lack a Christian foundation; they carry hurts that need healing before they can move to another place in their lives; they learn by experimenting and they are predisposed to thinking that church is irrelevant.

The main thing for Busters is relationships, purpose in life and personal healing… wow, healing hurts and building bridges. What a great task for the church! 

Ministering to the Buster Generation

Broadly defined, Busters were born between 1965 and 1983 and represent about 66 million Americans (roughly ages 25 to 42). They have seen many changes and advances in their lifetime: Roe v. Wade, high technology, video games, television quality and choices, the Challenger disaster, the Berlin Wall came down, peer groups became essential, music had become more cynical, AIDS, the Persian Gulf war, the youthful Clinton administration (his relatively young age and who can forget Monica)…


Their characteristics may be described as desiring freedom, non-work-a-holic, into 60’s nostalgia, survival (from AIDS to pollution to over population), feeling neglected (divorced parents, single-parent homes, virtual communities), rejecting the values of the Boomers and even postponing marriage.


So, where do they fit in the church? Busters value a true family atmosphere (often coming out of a generation of broken families); get involved in local causes in order to see the results of their efforts, have shorter attention spans (the sound bite generation); want a church to meet their own needs (a pragmatic faith that works for them) and a faith that works for others (becoming involved in social, political and environmental issues)…


Let me get to my subject. Gary McIntosh (One Church Four Generations) suggests many ways the church can seek to understand this generation.

  • Define Vision – we must have a clearly defined vision and a commitment to accomplish the task. He says that “to know Christ and make Him known” is too theoretical to be relevant to Busters. Pragmatic busters want to know how the mission will be carried out; how are we going to get to know Christ and to whom is the church trying to make Christ known?
  • Keep Worship Authentic – honest, straightforward, tell-it-like-it-is services are attractive to Busters. They can be short or long, but they cannot be considered a waste of time. They are not so much bored with worship but with services that move slowly. Music is important, so we need to use up-to-date music in a variety of styles, even having busters help plan the services.
  • Focus on local issues – rather than far away places. They will feed the homeless in their own area but seldom will they minister across the country. They want to know that their money is making a difference and do not give because they are asked to give to the regular Boomer channels of missions support. So, experiencing missions is important, even if that experience takes them internationally.
  • Challenge to Short-term Service – the general rule is to recruit for short-term and to renew for long-term. Long-term commitments are not the norm, so experiencing a ministry first helps develop a commitment to it in the long term.
  • Small Groups – Busters love feedback and discussion with people they trust. Step-by-step instructions and accountability are usually needed to move from concepts into action.
  • Answer Questions – since Busters need to sort out various hurts in their lives, the church needs to provide practical messages, classes and groups. They need help with problems they face every day: AIDS, divorce, pornography, immorality, child abuse, drugs and alcohol abuse, STDs. They need honest answers and biblical solutions.
  • Develop Need-Based Ministry – we might call some of these support groups: divorce care, overcoming addictions, surviving abuse.

We have to understand the driving forces behind the group we are trying to reach. This group is the future of the church. What will the church look like after the Builders and Boomers begin to die off? So, what do you think?